== Exercise ==
Next, retype all of the rows further below with every line break kept.

== Excerpt ==
-- begin --
#w
Density functional theory data (ωB97M-V/def2-TZVPD) for a 2-piece molecular cluster, C6H16NO overall.

Properties
**Kohn-Sham gap**: 9.5 eV
**LUMO**: -3.3 eV
**HOMO energy**: -12.8 eV
**Total charge**: +1

Geometry as XYZ:
```
24
Properties=species:S:1:pos:R:3:lowdin_charge:R:1
C 2.544 -0.815 -0.313 -0.040
C 1.139 -0.271 -0.383 -0.317
C 0.698 0.396 0.931 -0.151
C -0.441 -0.311 1.609 -0.112
C -1.634 -0.640 1.113 -0.162
C -2.637 -1.487 1.843 -0.086
N 1.076 0.777 -1.509 0.209
H 3.246 -0.135 0.155 0.092
H 2.534 -1.708 0.294 0.100
H 2.954 -1.090 -1.298 0.096
H 0.385 -1.003 -0.660 0.143
H 0.509 1.464 0.776 0.125
H 1.547 0.433 1.612 0.116
H -0.247 -0.643 2.624 0.112
H -1.955 -0.263 0.145 0.101
H -2.788 -2.460 1.365 0.084
H -3.575 -0.949 1.891 0.075
H -2.289 -1.684 2.864 0.083
H 1.909 1.358 -1.580 0.171
H 0.258 1.383 -1.361 0.106
H 0.919 0.273 -2.385 0.169
H -0.958 2.652 -3.211 0.070
H -2.053 2.196 -2.256 0.066
O -1.144 2.526 -2.264 -0.051
```


#x
Density functional theory data (ωB97M-V/def2-TZVPD) for a 2-piece molecular cluster, C6H16NO overall.

Properties
**Kohn-Sham gap**: 10.0 eV
**LUMO**: -3.2 eV
**HOMO energy**: -13.2 eV
**Total charge**: +1

Geometry as XYZ:
```
24
Properties=species:S:1:pos:R:3:lowdin_charge:R:1
C -0.454 -1.579 -1.610 -0.052
C -0.667 -0.761 -0.372 -0.324
C 0.177 -1.189 0.839 -0.141
C 1.356 -0.250 1.300 -0.189
C 1.456 1.381 3.225 0.034
C 0.801 0.820 2.231 -0.208
N -0.488 0.726 -0.676 0.194
H -0.767 -2.599 -1.422 0.101
H -1.084 -1.327 -2.467 0.072
H 0.593 -1.447 -1.955 0.111
H -1.751 -0.796 -0.155 0.157
H -0.526 -1.166 1.688 0.121
H 0.629 -2.194 0.784 0.128
H 1.898 0.127 0.406 0.122
H 1.986 -0.940 1.841 0.111
H 2.397 0.950 3.564 0.076
H 1.276 2.391 3.593 0.074
H -0.077 1.299 1.799 0.084
H -1.321 1.287 -0.520 0.161
H -0.208 0.853 -1.654 0.130
H 0.242 1.266 -0.196 0.136
H -2.506 1.415 -3.409 0.079
H -1.218 0.779 -3.813 0.071
O -1.745 0.954 -3.021 -0.050
```


The relative energies come out as #w 0.0; #x 19.4, with values in kcal/mol.


#w
Density functional theory data (ωB97M-V/def2-TZVPD) for C26H27CaClN4O8S3 as an isolated structure.

Properties
**Kohn-Sham gap**: 8.5 eV
**LUMO**: 0.4 eV
**HOMO energy**: -8.1 eV

Geometry as XYZ:
```
70
Properties=species:S:1:pos:R:3:lowdin_charge:R:1
Ca 0.832 -0.757 0.283 1.303
N 8.248 -2.917 2.721 0.102
C 6.983 -2.407 2.547 -0.324
C 6.554 -1.292 3.275 -0.021
C 5.258 -0.826 3.153 -0.055
C 4.377 -1.472 2.303 -0.265
C 4.786 -2.578 1.580 -0.069
C 6.077 -3.047 1.697 -0.027
S 2.714 -0.896 2.016 0.603
O 1.999 -2.059 1.489 -0.445
O 2.132 -0.314 3.187 -0.253
N 2.754 0.080 0.744 -0.222
C 3.068 1.353 0.979 -0.474
N 2.655 2.268 0.083 0.132
C 2.895 3.530 0.375 -0.136
C 3.569 3.930 1.523 -0.060
C 4.024 2.904 2.337 -0.125
N 3.803 1.633 2.071 0.116
H 8.945 -2.318 3.127 0.092
H 8.585 -3.552 2.018 0.091
H 7.256 -0.809 3.940 0.110
H 4.914 0.044 3.686 0.104
H 4.068 -3.058 0.937 0.087
H 6.397 -3.920 1.148 0.107
H 2.531 4.254 -0.346 0.107
H 3.736 4.967 1.760 0.091
H 4.595 3.101 3.238 0.110
O -0.659 0.638 0.791 -0.396
Cl -1.581 -0.391 0.484 0.586
O -2.875 -0.042 0.912 -0.253
O -1.155 -1.591 1.116 -0.386
O -1.590 -0.614 -0.924 -0.344
O 0.525 -2.396 -0.916 -0.708
S -0.577 -3.349 -1.144 1.090
C -0.739 -3.405 -3.021 -0.254
C 0.325 -2.544 -3.682 -0.220
C -0.160 -1.100 -3.812 -0.237
C 0.929 -0.142 -4.250 -0.259
S 1.883 0.533 -2.751 1.057
O 1.073 0.139 -1.592 -0.672
C 3.252 -0.671 -2.885 -0.351
C 4.167 -0.547 -3.922 -0.092
C 5.197 -1.465 -4.044 -0.077
C 5.310 -2.503 -3.132 -0.073
C 4.413 -2.602 -2.080 -0.054
C 3.390 -1.676 -1.945 -0.076
C 0.310 -4.943 -1.029 -0.333
C -0.227 -6.123 -1.519 -0.093
C 0.498 -7.299 -1.422 -0.076
C 1.741 -7.302 -0.810 -0.079
C 2.258 -6.127 -0.290 -0.064
C 1.543 -4.945 -0.397 -0.060
H -1.736 -3.018 -3.226 0.092
H -0.678 -4.444 -3.335 0.074
H 0.574 -2.957 -4.665 0.127
H 1.227 -2.563 -3.065 0.093
H -0.536 -0.776 -2.836 0.075
H -0.993 -1.067 -4.518 0.125
H 0.497 0.738 -4.723 0.082
H 1.638 -0.602 -4.933 0.084
H 4.072 0.264 -4.628 0.111
H 5.911 -1.371 -4.849 0.105
-- stop --

== Completed ==
#w
Density functional theory data (ωB97M-V/def2-TZVPD) for a 2-piece molecular cluster, C6H16NO overall.

Properties
**Kohn-Sham gap**: 9.5 eV
**LUMO**: -3.3 eV
**HOMO energy**: -12.8 eV
**Total charge**: +1

Geometry as XYZ:
```
24
Properties=species:S:1:pos:R:3:lowdin_charge:R:1
C 2.544 -0.815 -0.313 -0.040
C 1.139 -0.271 -0.383 -0.317
C 0.698 0.396 0.931 -0.151
C -0.441 -0.311 1.609 -0.112
C -1.634 -0.640 1.113 -0.162
C -2.637 -1.487 1.843 -0.086
N 1.076 0.777 -1.509 0.209
H 3.246 -0.135 0.155 0.092
H 2.534 -1.708 0.294 0.100
H 2.954 -1.090 -1.298 0.096
H 0.385 -1.003 -0.660 0.143
H 0.509 1.464 0.776 0.125
H 1.547 0.433 1.612 0.116
H -0.247 -0.643 2.624 0.112
H -1.955 -0.263 0.145 0.101
H -2.788 -2.460 1.365 0.084
H -3.575 -0.949 1.891 0.075
H -2.289 -1.684 2.864 0.083
H 1.909 1.358 -1.580 0.171
H 0.258 1.383 -1.361 0.106
H 0.919 0.273 -2.385 0.169
H -0.958 2.652 -3.211 0.070
H -2.053 2.196 -2.256 0.066
O -1.144 2.526 -2.264 -0.051
```


#x
Density functional theory data (ωB97M-V/def2-TZVPD) for a 2-piece molecular cluster, C6H16NO overall.

Properties
**Kohn-Sham gap**: 10.0 eV
**LUMO**: -3.2 eV
**HOMO energy**: -13.2 eV
**Total charge**: +1

Geometry as XYZ:
```
24
Properties=species:S:1:pos:R:3:lowdin_charge:R:1
C -0.454 -1.579 -1.610 -0.052
C -0.667 -0.761 -0.372 -0.324
C 0.177 -1.189 0.839 -0.141
C 1.356 -0.250 1.300 -0.189
C 1.456 1.381 3.225 0.034
C 0.801 0.820 2.231 -0.208
N -0.488 0.726 -0.676 0.194
H -0.767 -2.599 -1.422 0.101
H -1.084 -1.327 -2.467 0.072
H 0.593 -1.447 -1.955 0.111
H -1.751 -0.796 -0.155 0.157
H -0.526 -1.166 1.688 0.121
H 0.629 -2.194 0.784 0.128
H 1.898 0.127 0.406 0.122
H 1.986 -0.940 1.841 0.111
H 2.397 0.950 3.564 0.076
H 1.276 2.391 3.593 0.074
H -0.077 1.299 1.799 0.084
H -1.321 1.287 -0.520 0.161
H -0.208 0.853 -1.654 0.130
H 0.242 1.266 -0.196 0.136
H -2.506 1.415 -3.409 0.079
H -1.218 0.779 -3.813 0.071
O -1.745 0.954 -3.021 -0.050
```


The relative energies come out as #w 0.0; #x 19.4, with values in kcal/mol.


#w
Density functional theory data (ωB97M-V/def2-TZVPD) for C26H27CaClN4O8S3 as an isolated structure.

Properties
**Kohn-Sham gap**: 8.5 eV
**LUMO**: 0.4 eV
**HOMO energy**: -8.1 eV

Geometry as XYZ:
```
70
Properties=species:S:1:pos:R:3:lowdin_charge:R:1
Ca 0.832 -0.757 0.283 1.303
N 8.248 -2.917 2.721 0.102
C 6.983 -2.407 2.547 -0.324
C 6.554 -1.292 3.275 -0.021
C 5.258 -0.826 3.153 -0.055
C 4.377 -1.472 2.303 -0.265
C 4.786 -2.578 1.580 -0.069
C 6.077 -3.047 1.697 -0.027
S 2.714 -0.896 2.016 0.603
O 1.999 -2.059 1.489 -0.445
O 2.132 -0.314 3.187 -0.253
N 2.754 0.080 0.744 -0.222
C 3.068 1.353 0.979 -0.474
N 2.655 2.268 0.083 0.132
C 2.895 3.530 0.375 -0.136
C 3.569 3.930 1.523 -0.060
C 4.024 2.904 2.337 -0.125
N 3.803 1.633 2.071 0.116
H 8.945 -2.318 3.127 0.092
H 8.585 -3.552 2.018 0.091
H 7.256 -0.809 3.940 0.110
H 4.914 0.044 3.686 0.104
H 4.068 -3.058 0.937 0.087
H 6.397 -3.920 1.148 0.107
H 2.531 4.254 -0.346 0.107
H 3.736 4.967 1.760 0.091
H 4.595 3.101 3.238 0.110
O -0.659 0.638 0.791 -0.396
Cl -1.581 -0.391 0.484 0.586
O -2.875 -0.042 0.912 -0.253
O -1.155 -1.591 1.116 -0.386
O -1.590 -0.614 -0.924 -0.344
O 0.525 -2.396 -0.916 -0.708
S -0.577 -3.349 -1.144 1.090
C -0.739 -3.405 -3.021 -0.254
C 0.325 -2.544 -3.682 -0.220
C -0.160 -1.100 -3.812 -0.237
C 0.929 -0.142 -4.250 -0.259
S 1.883 0.533 -2.751 1.057
O 1.073 0.139 -1.592 -0.672
C 3.252 -0.671 -2.885 -0.351
C 4.167 -0.547 -3.922 -0.092
C 5.197 -1.465 -4.044 -0.077
C 5.310 -2.503 -3.132 -0.073
C 4.413 -2.602 -2.080 -0.054
C 3.390 -1.676 -1.945 -0.076
C 0.310 -4.943 -1.029 -0.333
C -0.227 -6.123 -1.519 -0.093
C 0.498 -7.299 -1.422 -0.076
C 1.741 -7.302 -0.810 -0.079
C 2.258 -6.127 -0.290 -0.064
C 1.543 -4.945 -0.397 -0.060
H -1.736 -3.018 -3.226 0.092
H -0.678 -4.444 -3.335 0.074
H 0.574 -2.957 -4.665 0.127
H 1.227 -2.563 -3.065 0.093
H -0.536 -0.776 -2.836 0.075
H -0.993 -1.067 -4.518 0.125
H 0.497 0.738 -4.723 0.082
H 1.638 -0.602 -4.933 0.084
H 4.072 0.264 -4.628 0.111
H 5.911 -1.371 -4.849 0.105